[Job]
Next, retype every line further down that contains the word "set".

[Contents]
/*
No. 1
# C23H87BN3O31S

A 22-piece molecular cluster, C23H87BN3O31S overall at a distorted geometry (ωB97M-V with the def2-TZVPD basis set, the Open Molecules 2025 dataset).

ORCA input file:
```
! RIJCOSX wB97M-V def2-TZVPD def2/J DEFGRID3
* xyz 1 1
H 4.71074 -3.68071 -0.17021
H 4.27162 0.24151 2.96290
O -1.83485 -5.47718 -3.07728
O 3.00891 1.30886 -4.48878
O -7.88307 -2.20997 3.36241
H -3.19610 -4.93440 -0.15385
H -8.33510 4.71271 2.71075
H -5.20738 -0.08119 -2.26552
H -5.05941 2.43777 1.01093
H -2.95794 -4.17295 -1.44839
H -3.72346 4.22354 -3.41909
H -3.31303 1.29262 -4.20503
O -2.85018 -4.10182 -0.48941
C -2.54192 -0.12149 -2.71869
O -4.87211 4.59658 2.28177
H -5.45231 4.69274 1.51499
H 6.60000 3.67644 -3.06442
O -1.71529 5.00394 6.99463
H -2.86499 1.96223 1.23111
H 9.15136 -1.71750 -2.62980
H 3.77968 -0.88954 -3.25631
H 0.70326 1.53813 -1.61744
C -2.16517 0.90085 -1.62797
H -6.93496 -2.36818 3.38214
O 1.41045 -7.12938 -2.93645
O 3.39601 4.30411 -2.86020
H 0.77128 5.75153 4.11798
H 7.96894 -3.85778 -1.16331
O 3.12028 0.15006 1.26036
H 3.46181 1.22809 -5.33423
O 8.22758 -1.98584 -2.61594
H 5.87019 -0.12836 1.43480
H -0.06624 -0.03013 -4.94782
O -6.74298 3.69285 -0.36724
H -0.15615 2.08604 1.22299
H 6.79193 1.39119 1.45113
H 0.77021 -6.50154 -0.41727
H -4.97465 2.07182 2.72127
H 3.71975 1.37344 -3.84398
B 2.23411 -1.75885 -0.32786
H 6.93353 -0.80235 -0.26970
H -3.11651 0.71715 2.48259
H -4.08296 1.13304 5.28308
H 1.65142 -7.94434 -2.48421
H -2.55656 3.05728 7.41254
C -4.90729 1.63636 1.72926
H -5.71762 0.75753 -3.76783
H -7.32012 3.38366 0.34639
H 2.68525 -1.99353 -2.16595
O 0.26929 6.08550 4.86992
H -1.25751 -3.00574 0.01402
O 2.53537 -1.24644 -1.57017
H -7.55839 3.41059 2.82403
H -6.35785 0.26824 0.22114
C -3.60518 0.38460 -3.68745
C 1.85727 -0.30569 1.71294
C 0.44475 2.39886 0.37270
O 7.72254 -3.88834 -0.23030
H 2.21191 -6.59706 -2.90518
H -0.04431 -0.17695 -6.46623
H 5.51010 -2.77598 2.09272
H -0.10728 -2.67691 3.07891
H -2.96813 -0.99201 -2.20449
H 2.59842 3.58953 -0.64713
H -7.95992 -1.30155 3.05542
C 1.62741 3.15764 0.97015
H -2.29395 3.71555 -3.38861
H -4.16035 0.18140 -0.35457
C 5.91071 0.88391 -0.44993
C 0.04508 -1.92048 1.05947
H 1.42636 1.48439 -4.04037
H 1.95451 1.13913 -0.52310
H 7.29607 -4.74183 -0.11060
H -1.27877 1.47977 -1.85845
H -3.42955 -0.93668 0.81432
H -3.27786 -0.14801 5.40833
H -0.26565 -2.22826 5.62661
O -2.77496 2.27563 6.88841
H -4.62224 5.49613 2.51463
C -3.88910 -0.70344 -4.74504
O 4.41466 -1.51813 -3.61636
O -3.64985 0.45323 4.75264
C 0.35143 -2.97157 2.13223
H -1.77462 -1.36530 1.70745
O -1.18492 -2.00533 5.44949
H -4.50114 -1.47975 -4.27358
N -0.93597 -0.85567 1.43368
H 1.41399 -3.09771 2.33155
H -4.92450 1.65663 -2.48907
O -0.23236 -4.22529 1.80035
O -0.42758 -2.52388 -0.14386
O 0.51286 1.56276 -3.72150
H 2.02048 -1.03410 2.52013
O -3.17788 3.47530 -3.68601
C 0.24659 -5.58010 -0.18346
H 6.61284 1.65009 -0.78699
H -1.53118 -6.31992 -2.72553
H 4.66888 -1.95669 0.02871
H 0.51179 -4.84596 -0.94255
H -2.99218 1.61097 -1.56264
H 5.27306 -1.11521 -3.44890
H -6.99076 4.61510 -0.47988
C 4.22382 -2.88208 0.39351
H -2.98093 -1.12083 -5.17194
H -1.66579 -0.45468 -3.27139
O 4.77532 1.66226 1.54083
H 0.90629 6.10242 5.59195
C 0.87298 1.25367 -0.57991
O -7.91438 4.03087 2.17821
C 3.83038 0.92720 2.22340
H 4.34610 4.13771 -2.85100
C 4.49314 -3.10878 1.87229
H -1.24236 5.12583 6.16054
H -1.06682 -4.90284 -2.99509
C 5.88193 0.91023 1.08558
O 2.77438 3.23134 0.23991
H 4.43096 -4.16262 2.13757
O 1.63474 -5.49724 1.73682
H -1.49631 -2.71325 4.87670
H 6.24624 2.22581 -2.78242
N 0.29715 -0.06960 -0.27537
C -3.46791 1.09924 1.52525
O 6.40541 -0.37037 -0.95079
H -1.49847 5.78153 7.51631
C -4.95069 0.68921 -2.99819
H -2.30008 2.42186 6.06526
H 3.15893 1.61130 2.74829
H -0.82346 -5.78038 -0.24439
O 1.55085 3.66979 2.05578
O -0.62373 0.05062 -5.73129
O 2.81150 -2.93244 0.09350
H 4.92583 1.01916 -0.89209
H -0.08048 3.14723 -0.22923
C -0.99233 -0.16961 0.20195
S -6.21284 0.38263 1.55389
C -3.38417 0.06468 0.39210
*/

[Result]
A 22-piece molecular cluster, C23H87BN3O31S overall at a distorted geometry (ωB97M-V with the def2-TZVPD basis set, the Open Molecules 2025 dataset).